There’s a reason I like Holden Caulfield. There’s a reason I absolutely love The Catcher in the Rye. It’s because I identify with Holden on so many levels. And just like Holden, in the midst of myloneliness and the sentiment of preserving innocence, I too find myself toying with the idea devoting myself to a religion and becoming a clergy member of some sort.
Most recently, I got myself into a job I thought I would enjoy. I was hired as a security officer at a very upscale retail location. Everyone, including my employers and veteran co-workers told me I should be proud that I got the position: considering the economy where it is now, and how selective the company is with their employees, my successful hire was considered quite a feat. It wasn’t anything to me because I have an extremely high success rate when it comes to passing interviews.
-- Inserted here: crystal structures --
- - -
Version a
# ScAlCO

A relaxed ScAlCO crystal (PBE-GGA, the Materials Project).

- SG = P6_3mc
- size of the total moment (μB per atom) = 0.00
- maximum piezoelectric response (C/m2) = 1.9

Unit cell a=3.2632 b=3.2632 c=10.2364 alpha=90.00 beta=90.00 gamma=120.00
Sites, in units of the cell vectors:
Sc1 0.3333 0.6667 0.0000
Sc2 0.6667 0.3333 0.5000
Al1 0.0000 0.0000 0.2159
Al2 0.0000 0.0000 0.7159
C1 0.3333 0.6667 0.6378
C2 0.6667 0.3333 0.1378
O1 0.0000 0.0000 0.3931
O2 0.0000 0.0000 0.8931


Version b
# ScAlCO

A relaxed ScAlCO crystal (PBE-GGA, the Materials Project).

- SG = R-3m

Unit cell a=10.2707 b=10.2707 c=10.2707 alpha=18.42 beta=18.42 gamma=18.42
Sites, in units of the cell vectors:
Sc1 0.0000 0.0000 0.0000
Sc2 0.5000 0.5000 0.5000
Al1 0.2386 0.2386 0.2386
Al2 0.7614 0.7614 0.7614
- - -
-- The crystal structures stop here --
Everyone I spoke to seemed to like their jobs. The work is easy, the environment is clean, mostly quiet, and void of riff raff. Most of the employees are friendly and enjoy their work. My co-workers exalted the way the company takes care of its employees. The job pays well, and there is no work to take home.On paper, it’s a very good job. But three days into my new job, I was already crying and sobbing. I was depressed at the long hours. Imagine going in to work when the sun is high and bright. The day is full of promise. Imagine leaving work with tired feet, walking out of the building onto the bustling night streets of New York City. The entire day just passed you by, and in that day, you have achieved nothing. Your work produces nothing, and you have nothing to show for ten hours of work. By the time you get home and finish dinner, you’re already trying to ready yourself for the next day.It reminds me of this Russian coworker at my old place of employment. I remember walking to the train station with him one evening after work. He walked fast, and the length of his legs made it harder for me to keep up with him. I asked him how he liked it here in America. “American way is bullshit. Every day is another day of eating shit. You wake up, go to work, come home, sleep, and repeat cycle. I eat shit today. Tomorrow I eat shit again.” He observed how incredibly money-centric it was here. He recalled how it was easier to relax and have time for leisure. And it didn’t cost an arm and a leg to have a good time back in Russia.
What he saidrangso true to me…although I haven’t lived anywhere but New York City, I felt the same way he did about “the American way”. And it was how I felt when my workday ended. I hated the fact that my job was mind-numbingly boring, and that it really amounted to nothing at the end of the day. I didn’t feel like I was making a difference at all: I wasn’t contributing anything or producing anything. The fact that a well-programmed robot could do my job was even more demoralizing.
I realized that I was in the wrong line of work. My various skills were not being put to use. There were no challenges for me, and I was not being mentally engaged. With such an enormous aversion towards my current line of work, I decided to do something about it.
Over the course of a week or so, my mind wandered, trying to find a job that would be suited to me. I wondered about my qualities: my penchant for writing, my flair for the dramatic, my ability to motivate people, my desire to inspire and help others, and my intellectual interest in religion. Thinking back to a conversation I had with my professor this one day from a chance meeting in the train station, I realized that perhaps his suggestion to become a minister was a good one.
And so I toyed with the idea. I imagined that it would incredibly rewarding. And though every job has its moments of boredom, I didn’t suppose that being a minister would be boring on a day to day basis. As much of a lone wolf as I believe myself to be, I do crave face to face interaction with people as a part of my job: it helps break up the monotony of the daily grind. Considering that I seem to draw people in need of advice, I would also be in a very good position to help people.
The only problem is whether or not I can bring myself to settle down with the concept of faith. Do I believe in God? Do I believe that He is there? That He has a plan for all of us? And all of that other mumble jumble? I have no doubt that I can fake it…I fairly certain that should my morals fall by the wayside, I could “infiltrate” the ranks of the clergy (let’s not get into a debate about how God wouldn’t let that happen).
Considering that I don’t want to go to hell (or wake up with an awful feeling every morning knowing that I’m just a big phony for that matter), I do believe I should continue my job hunt. Finding my way will be difficult, and I can only hope that I can do so with celerity and grace.